Job >
Next, copy only the lines further below with the word "Be2Ag2Ge" in them.
Source >
........
CsTaAg2Se4, relaxed, DFT PBE-GGA; ΔE_f (raw) = -0.6254 eV/atom; spin magnetization = 0.0 Bohr magnetons per cell; SG = No. 23
1.0
-5.856 0.655 -2.831
-0.140 0.279 -7.192
-3.779 -6.023 -1.124
Cs Ta Ag Se
1 1 2 4
direct
0.000 0.000 0.000 Cs
0.000 0.500 0.500 Ta
0.500 0.651 0.349 Ag
0.500 0.349 0.651 Ag
0.635 0.521 0.828 Se
0.365 0.172 0.479 Se
0.984 0.479 0.172 Se
0.016 0.828 0.521 Se



Zr2BeAs, relaxed, DFT PBE-GGA; relative energy among the computed polymorphs = 434 meV per atom; spin magnetization = 0.0 Bohr magnetons per cell; SG = No. 65
1.0
-0.670 1.483 -4.393
-4.264 -1.473 1.265
-0.705 3.005 1.122
Be As Zr
1 1 2
direct
0.000 0.500 0.500 Be
0.500 0.000 0.500 As
0.000 0.000 0.000 Zr
0.500 0.500 0.000 Zr



LiMg2Al, relaxed, DFT PBE-GGA; VASP energy = -1.992 eV/atom; spin magnetization = 0.0 Bohr magnetons per cell; SG = No. 71
1.0
6.524 -0.053 -0.026
3.825 5.285 0.026
-4.470 -4.008 2.552
Li Mg Al
1 2 1
direct
0.000 0.000 0.000 Li
0.748 0.748 0.000 Mg
0.252 0.252 0.000 Mg
0.500 0.500 0.000 Al



RbPr2Rh, relaxed, DFT PBE-GGA; VASP energy = -4.693 eV/atom; spin magnetization = 0.0 Bohr magnetons per cell; SG = No. 166
1.0
4.237 0.000 0.000
2.119 3.669 0.000
2.119 1.223 11.553
Pr Rh Rb
2 1 1
direct
0.124 0.124 0.628 Pr
0.876 0.876 0.372 Pr
0.500 0.500 0.500 Rh
0.000 0.000 0.000 Rb



TbPm2Ir, relaxed, DFT PBE-GGA; relative energy among the computed polymorphs = 444 meV per atom; spin magnetization = 0.6 Bohr magnetons per cell; SG = No. 166
1.0
-1.308 -3.198 1.597
1.867 -1.569 2.922
-5.635 4.203 8.334
Ir Tb Pm
1 1 2
direct
0.500 0.500 0.500 Ir
0.000 0.000 0.000 Tb
0.112 0.112 0.663 Pm
0.888 0.888 0.337 Pm



MgBeS2, relaxed, DFT PBE-GGA; relative energy among the computed polymorphs = 1075 meV per atom; ΔE_f (raw) = -0.1041 eV/atom; spin magnetization = 0.0 Bohr magnetons per cell; SG = No. 225
1.0
-3.248 -2.871 0.899
-0.679 -1.341 4.164
-3.598 1.346 2.200
Be S Mg
1 2 1
direct
0.000 0.000 0.000 Be
0.250 0.250 0.250 S
0.750 0.750 0.750 S
0.500 0.500 0.500 Mg



Y4BiAs3, relaxed, DFT PBE-GGA; VASP energy = -6.843 eV/atom; spin magnetization = 0.0 Bohr magnetons per cell; SG = No. 194
1.0
-2.972 -2.922 -0.219
3.756 -0.714 -1.674
8.808 -10.787 24.362
Y As Bi
8 6 2
direct
0.667 0.333 0.941 Y
0.333 0.667 0.059 Y
0.333 0.667 0.441 Y
0.667 0.333 0.559 Y
0.000 0.000 0.824 Y
0.000 0.000 0.176 Y
0.000 0.000 0.324 Y
0.000 0.000 0.676 Y
0.000 0.000 0.000 As
0.000 0.000 0.500 As
0.333 0.667 0.881 As
0.667 0.333 0.119 As
0.667 0.333 0.381 As
0.333 0.667 0.619 As
0.667 0.333 0.750 Bi
0.333 0.667 0.250 Bi



Be2Ag2Ge, relaxed, DFT PBE-GGA; relative energy among the computed polymorphs = 112 meV per atom; spin magnetization = 0.0 Bohr magnetons per cell; SG = No. 127
1.0
7.286 0.000 0.000
0.000 7.286 0.000
0.000 0.000 2.769
Be Ge Ag
4 2 4
direct
0.161 0.661 0.500 Be
0.661 0.839 0.500 Be
0.839 0.339 0.500 Be
0.339 0.161 0.500 Be
0.000 0.000 0.000 Ge
0.500 0.500 0.000 Ge
0.362 0.862 0.000 Ag
0.862 0.638 0.000 Ag
0.638 0.138 0.000 Ag
0.138 0.362 0.000 Ag



TbDy2TmBi5, relaxed, DFT PBE-GGA; VASP energy = -4.188 eV/atom; spin magnetization = 0.0 Bohr magnetons per cell; SG = No. 123
1.0
-3.379 3.997 -1.125
-2.571 -0.875 4.614
7.244 7.667 5.490
Tb Dy Tm Bi
1 2 1 5
direct
0.000 0.000 0.000 Tb
0.500 0.500 0.266 Dy
0.500 0.500 0.734 Dy
0.000 0.000 0.500 Tm
0.000 0.500 0.500 Bi
0.500 0.000 0.500 Bi
0.000 0.000 0.753 Bi
0.000 0.000 0.247 Bi
0.500 0.500 0.000 Bi



TaTi3Ga4, relaxed, DFT PBE-GGA; VASP energy = -6.242 eV/atom; spin magnetization = 0.0 Bohr magnetons per cell; SG = No. 53
1.0
-4.536 2.678 2.023
-2.951 -4.870 -0.171
........
Solution >
Be2Ag2Ge, relaxed, DFT PBE-GGA; relative energy among the computed polymorphs = 112 meV per atom; spin magnetization = 0.0 Bohr magnetons per cell; SG = No. 127